Material:
- - -
# 1
# AlCuPb2Se4 PBE optimized geometry
# Formation energy from raw total energies: -508 meV/atom
data_AlCuPb2Se4
_cell_length_a 6.521
_cell_length_b 6.545
_cell_length_c 6.546
_cell_angle_alpha 100.71
_cell_angle_beta 112.91
_cell_angle_gamma 112.85
_space_group_name_H-M_alt 'P 1'
_space_group_IT_number 1
loop_
_space_group_symop_operation_xyz
'x,y,z'
loop_
_atom_site_label
_atom_site_type_symbol
_atom_site_fract_x
_atom_site_fract_y
_atom_site_fract_z
_atom_site_occupancy
Al1 Al 0.000 0.000 0.000 1
Cu1 Cu 0.499 0.253 0.747 1
Pb1 Pb 0.000 0.444 0.555 1
Pb2 Pb 0.500 0.702 0.298 1
Se1 Se 0.073 0.939 0.665 1
Se2 Se 0.417 0.113 0.337 1
Se3 Se 0.583 0.664 0.887 1
Se4 Se 0.926 0.335 0.061 1

# 2
# NaLa2Zr PBE optimized geometry
# Energy relative to the elements: 0.3592 eV per atom
data_NaLa2Zr
_cell_length_a 7.942
_cell_length_b 7.942
_cell_length_c 7.942
_cell_angle_alpha 90.00
_cell_angle_beta 90.00
_cell_angle_gamma 90.00
_space_group_name_H-M_alt 'F m -3 m'
_space_group_IT_number 225
_space_group_name_Hall '-F 4 2 3'
loop_
_atom_site_label
_atom_site_type_symbol
_atom_site_fract_x
_atom_site_fract_y
_atom_site_fract_z
_atom_site_occupancy
Na1 Na 0.000 0.000 0.000 1
La1 La 0.250 0.250 0.250 1
Zr1 Zr 0.000 0.000 0.500 1

# 3
# Ac8GeTe3Se3 PBE optimized geometry
# Formation energy from raw total energies: -1451 meV/atom
data_Ac8GeTe3Se3
_cell_length_a 9.1296
_cell_length_b 9.1296
_cell_length_c 22.8519
_cell_angle_alpha 90.00
_cell_angle_beta 90.00
_cell_angle_gamma 120.00
_space_group_name_H-M_alt 'R -3 m'
_space_group_IT_number 166
_space_group_name_Hall '-R 3 2"'
loop_
_atom_site_label
_atom_site_type_symbol
_atom_site_fract_x
_atom_site_fract_y
_atom_site_fract_z
_atom_site_occupancy
Ac1 Ac 0.0000 0.0000 0.2420 1
Ac2 Ac 0.0003 0.5002 0.2430 1
Ge1 Ge 0.0000 0.0000 0.5000 1
Te1 Te 0.0000 0.5000 0.0000 1
Se1 Se 0.0000 0.5000 0.5000 1

# 4
# LaCdFeC PBE optimized geometry
# Energy relative to the elements: -0.0255 eV per atom
data_LaCdFeC
_cell_length_a 3.684
_cell_length_b 3.684
_cell_length_c 10.967
_cell_angle_alpha 90.00
_cell_angle_beta 90.00
_cell_angle_gamma 90.00
_space_group_name_H-M_alt 'P 4/n m m'
_space_group_IT_number 129
loop_
_space_group_symop_operation_xyz
'x,y,z'
'-x,-y,-z'
'-y+1/2,x,z'
'y+1/2,-x,-z'
'-x+1/2,-y+1/2,z'
'x+1/2,y+1/2,-z'
'y,-x+1/2,z'
'-y,x+1/2,-z'
'x+1/2,-y,-z'
'-x+1/2,y,z'
'-y,-x,-z'
'y,x,z'
'-x,y+1/2,-z'
'x,-y+1/2,z'
'y+1/2,x+1/2,-z'
'-y+1/2,-x+1/2,z'
loop_
_atom_site_label
_atom_site_type_symbol
_atom_site_fract_x
_atom_site_fract_y
_atom_site_fract_z
_atom_site_occupancy
La1 La 0.250 0.250 0.207 1
Cd1 Cd 0.250 0.750 0.500 1
Fe1 Fe 0.250 0.750 0.000 1
C1 C 0.250 0.250 0.924 1

# 5
# La6Dy5 PBE optimized geometry
# Energy relative to the elements: 0.1102 eV per atom
data_La6Dy5
_cell_length_a 10.097
_cell_length_b 16.190
_cell_length_c 5.707
_cell_angle_alpha 90.00
_cell_angle_beta 124.27
_cell_angle_gamma 90.00
_space_group_name_H-M_alt 'C 1 2/m 1'
_space_group_IT_number 12
loop_
_space_group_symop_operation_xyz
'x,y,z'
'-x,-y,-z'
'-x,y,-z'
'x,-y,z'
'x+1/2,y+1/2,z'
'-x+1/2,-y+1/2,-z'
'-x+1/2,y+1/2,-z'
'x+1/2,-y+1/2,z'
loop_
_atom_site_label
_atom_site_type_symbol
_atom_site_fract_x
_atom_site_fract_y
_atom_site_fract_z
_atom_site_occupancy
La1 La 0.207 0.000 0.209 1
La2 La 0.208 0.139 0.708 1
Dy1 Dy 0.000 0.201 0.000 1
Dy2 Dy 0.000 0.339 0.500 1
Dy3 Dy 0.000 0.500 0.000 1

# 6
# ZnPdN2F PBE optimized geometry
# Formation energy from raw total energies: 1066 meV/atom
data_ZnPdN2F
_cell_length_a 3.920
_cell_length_b 3.920
_cell_length_c 3.873
_cell_angle_alpha 90.00
_cell_angle_beta 90.00
_cell_angle_gamma 90.00
_space_group_name_H-M_alt 'P 4/m m m'
_space_group_IT_number 123
_space_group_name_Hall '-P 4 2'
loop_
_atom_site_label
_atom_site_type_symbol
_atom_site_fract_x
_atom_site_fract_y
_atom_site_fract_z
_atom_site_occupancy
Zn1 Zn 0.000 0.000 0.000 1
Pd1 Pd 0.500 0.500 0.500 1
N1 N 0.000 0.500 0.000 1
F1 F 0.000 0.000 0.500 1

# 7
# HoTm3Pd4 PBE optimized geometry
- - -

Brief:
Restate all of the contents further up without altering anything.

Result:
# 1
# AlCuPb2Se4 PBE optimized geometry
# Formation energy from raw total energies: -508 meV/atom
data_AlCuPb2Se4
_cell_length_a 6.521
_cell_length_b 6.545
_cell_length_c 6.546
_cell_angle_alpha 100.71
_cell_angle_beta 112.91
_cell_angle_gamma 112.85
_space_group_name_H-M_alt 'P 1'
_space_group_IT_number 1
loop_
_space_group_symop_operation_xyz
'x,y,z'
loop_
_atom_site_label
_atom_site_type_symbol
_atom_site_fract_x
_atom_site_fract_y
_atom_site_fract_z
_atom_site_occupancy
Al1 Al 0.000 0.000 0.000 1
Cu1 Cu 0.499 0.253 0.747 1
Pb1 Pb 0.000 0.444 0.555 1
Pb2 Pb 0.500 0.702 0.298 1
Se1 Se 0.073 0.939 0.665 1
Se2 Se 0.417 0.113 0.337 1
Se3 Se 0.583 0.664 0.887 1
Se4 Se 0.926 0.335 0.061 1

# 2
# NaLa2Zr PBE optimized geometry
# Energy relative to the elements: 0.3592 eV per atom
data_NaLa2Zr
_cell_length_a 7.942
_cell_length_b 7.942
_cell_length_c 7.942
_cell_angle_alpha 90.00
_cell_angle_beta 90.00
_cell_angle_gamma 90.00
_space_group_name_H-M_alt 'F m -3 m'
_space_group_IT_number 225
_space_group_name_Hall '-F 4 2 3'
loop_
_atom_site_label
_atom_site_type_symbol
_atom_site_fract_x
_atom_site_fract_y
_atom_site_fract_z
_atom_site_occupancy
Na1 Na 0.000 0.000 0.000 1
La1 La 0.250 0.250 0.250 1
Zr1 Zr 0.000 0.000 0.500 1

# 3
# Ac8GeTe3Se3 PBE optimized geometry
# Formation energy from raw total energies: -1451 meV/atom
data_Ac8GeTe3Se3
_cell_length_a 9.1296
_cell_length_b 9.1296
_cell_length_c 22.8519
_cell_angle_alpha 90.00
_cell_angle_beta 90.00
_cell_angle_gamma 120.00
_space_group_name_H-M_alt 'R -3 m'
_space_group_IT_number 166
_space_group_name_Hall '-R 3 2"'
loop_
_atom_site_label
_atom_site_type_symbol
_atom_site_fract_x
_atom_site_fract_y
_atom_site_fract_z
_atom_site_occupancy
Ac1 Ac 0.0000 0.0000 0.2420 1
Ac2 Ac 0.0003 0.5002 0.2430 1
Ge1 Ge 0.0000 0.0000 0.5000 1
Te1 Te 0.0000 0.5000 0.0000 1
Se1 Se 0.0000 0.5000 0.5000 1

# 4
# LaCdFeC PBE optimized geometry
# Energy relative to the elements: -0.0255 eV per atom
data_LaCdFeC
_cell_length_a 3.684
_cell_length_b 3.684
_cell_length_c 10.967
_cell_angle_alpha 90.00
_cell_angle_beta 90.00
_cell_angle_gamma 90.00
_space_group_name_H-M_alt 'P 4/n m m'
_space_group_IT_number 129
loop_
_space_group_symop_operation_xyz
'x,y,z'
'-x,-y,-z'
'-y+1/2,x,z'
'y+1/2,-x,-z'
'-x+1/2,-y+1/2,z'
'x+1/2,y+1/2,-z'
'y,-x+1/2,z'
'-y,x+1/2,-z'
'x+1/2,-y,-z'
'-x+1/2,y,z'
'-y,-x,-z'
'y,x,z'
'-x,y+1/2,-z'
'x,-y+1/2,z'
'y+1/2,x+1/2,-z'
'-y+1/2,-x+1/2,z'
loop_
_atom_site_label
_atom_site_type_symbol
_atom_site_fract_x
_atom_site_fract_y
_atom_site_fract_z
_atom_site_occupancy
La1 La 0.250 0.250 0.207 1
Cd1 Cd 0.250 0.750 0.500 1
Fe1 Fe 0.250 0.750 0.000 1
C1 C 0.250 0.250 0.924 1

# 5
# La6Dy5 PBE optimized geometry
# Energy relative to the elements: 0.1102 eV per atom
data_La6Dy5
_cell_length_a 10.097
_cell_length_b 16.190
_cell_length_c 5.707
_cell_angle_alpha 90.00
_cell_angle_beta 124.27
_cell_angle_gamma 90.00
_space_group_name_H-M_alt 'C 1 2/m 1'
_space_group_IT_number 12
loop_
_space_group_symop_operation_xyz
'x,y,z'
'-x,-y,-z'
'-x,y,-z'
'x,-y,z'
'x+1/2,y+1/2,z'
'-x+1/2,-y+1/2,-z'
'-x+1/2,y+1/2,-z'
'x+1/2,-y+1/2,z'
loop_
_atom_site_label
_atom_site_type_symbol
_atom_site_fract_x
_atom_site_fract_y
_atom_site_fract_z
_atom_site_occupancy
La1 La 0.207 0.000 0.209 1
La2 La 0.208 0.139 0.708 1
Dy1 Dy 0.000 0.201 0.000 1
Dy2 Dy 0.000 0.339 0.500 1
Dy3 Dy 0.000 0.500 0.000 1

# 6
# ZnPdN2F PBE optimized geometry
# Formation energy from raw total energies: 1066 meV/atom
data_ZnPdN2F
_cell_length_a 3.920
_cell_length_b 3.920
_cell_length_c 3.873
_cell_angle_alpha 90.00
_cell_angle_beta 90.00
_cell_angle_gamma 90.00
_space_group_name_H-M_alt 'P 4/m m m'
_space_group_IT_number 123
_space_group_name_Hall '-P 4 2'
loop_
_atom_site_label
_atom_site_type_symbol
_atom_site_fract_x
_atom_site_fract_y
_atom_site_fract_z
_atom_site_occupancy
Zn1 Zn 0.000 0.000 0.000 1
Pd1 Pd 0.500 0.500 0.500 1
N1 N 0.000 0.500 0.000 1
F1 F 0.000 0.000 0.500 1

# 7
# HoTm3Pd4 PBE optimized geometry